Tuesday, February 24, 2009

Day Care

The day care called me a few weeks ago to say that they were able to finally accept Carter into the program...I cried. I knew it was coming, but some how I just wanted to believe that mom could stay here forever and watch the baby and everything would be fine. In reality, I knew that was impossible, but I just wasn't ready to face Carter having to go to day care. Well, his first day was this past Monday, which means my mom went home on Sunday.

I can't even describe what it was like having mom here the last two months. It was WONDERFUL! It was so fun coming home from work to mom and Carter everyday, and she was such great company. I will never forget this time I got to spend with her and the time that she got to spend with Carter. It made the transition of me going back to work so much easier. I had almost two months to get used to working again before I had to get used to sending Carter to day care everyday. Anyway, mom left Sunday and I was so sad to see her go.

Inserted here: calculated crystals:
(1)
{"formula": "TmGaNi", "functional": "r2SCAN", "state": "relaxed", "cell": [[0.000, -4.232, 0.000], [-6.718, 0.000, 0.000], [0.000, 0.000, -7.191]], "species": ["Ni", "Ga", "Ga", "Ni", "Tm", "Tm", "Ni", "Ga", "Ga", "Ni", "Tm", "Tm"], "frac_coords": [[0.750, 0.211, 0.407], [0.750, 0.322, 0.079], [0.250, 0.678, 0.921], [0.250, 0.289, 0.907], [0.250, 0.517, 0.303], [0.750, 0.483, 0.697], [0.250, 0.789, 0.593], [0.250, 0.178, 0.579], [0.750, 0.822, 0.421], [0.750, 0.711, 0.093], [0.750, 0.983, 0.803], [0.250, 0.017, 0.197]], "formation_enthalpy_0k_ev_per_atom": -0.699, "space_group": "Pnma"}

(2)
{"formula": "AcYb3", "functional": "r2SCAN", "state": "relaxed", "cell": [[0.735, -5.129, 2.442], [-4.550, -3.199, 1.369], [-1.142, -4.770, -2.958]], "species": ["Ac", "Yb", "Yb", "Yb"], "frac_coords": [[0.000, 0.000, 0.000], [0.250, 0.250, 0.250], [0.500, 0.500, 0.500], [0.750, 0.750, 0.750]], "formation_enthalpy_0k_ev_per_atom": 0.097, "space_group": "Fm-3m"}

(3)
{"formula": "EuMgSn", "functional": "r2SCAN", "state": "relaxed", "cell": [[4.846, 0.000, 0.000], [0.000, 7.986, 0.000], [0.000, 0.000, 8.738]], "species": ["Mg", "Sn", "Mg", "Eu", "Mg", "Sn", "Eu", "Sn", "Eu", "Mg", "Eu", "Sn"], "frac_coords": [[0.750, 0.347, 0.431], [0.250, 0.274, 0.605], [0.750, 0.847, 0.069], [0.250, 0.011, 0.306], [0.250, 0.653, 0.569], [0.750, 0.726, 0.395], [0.250, 0.511, 0.194], [0.750, 0.226, 0.105], [0.750, 0.489, 0.806], [0.250, 0.153, 0.931], [0.750, 0.989, 0.694], [0.250, 0.774, 0.895]], "formation_enthalpy_0k_ev_per_atom": -0.672, "space_group": "Pnma"}

Carter's first day of day care went well. The teacher said he cried a little off and on, but that was probably because it was a different environment. But he didn't cry when I dropped him off in the morning and that is good because that would have just broken my heart. And I didn't cry when I dropped him off, so I was proud of myself for that. I really wanted to but I knew if I did I wasn't sure if I would be able to stop. And showing up at work with puffy eyes and smeared mascara was not something I wanted to try. Carter sure was happy to see me when I picked him up and that made me feel good. Today was his second day and the teacher reported that he did great today, much better than yesterday. So, that is great news. I'm sure by the end of the week he'll have the schedule down and get used to seeing his teacher and the other kids everyday. I think this has been much harder on me than it has been him. Go figure!


Dawn said...

I am glad things went ok. How about the napping? Did he stay on his mat?

Scott, Holly, Teagan and Jellybean said...

I am so glad that he liked it!! That makes it so much easier. Thanks for sending mom back our way!! We sure did miss her. Love you!

Mike Gellatly said...

so proud of you for being a brave mommy! and i'm really glad he seems to be settling into the new routine. he'll have fun interacting with the other kids, you'll be amazed at how much he learns from that! love y'all!


The Morgans said...

Awwww.....I can't even imagine how hard that was. But just think about all the little friends he will make. I am glad you made it without crying! Good for you!

Chap and Heather said...

That's a tough one...but like I told you on the phone, it would be a lot tougher taking him to a place that you didn't love as much =) I feel like he's growing up so fast!! =( I need him to stop!

I also need to see him again...SOON! love you!

Jaysey said...

Way to go not crying! You're so lucky your mom was able and willing to help you out like that. She's pretty awesome.

Anonymous said...

I am glad you did well. I knew Carter would. I am sure he will really enjoy being with the other children. Love Dad